MPP Yvan Baker has introduced a private member’s bill calling for the creation of a centralized portal for information on higher education in Ontario. The Bill suggests that 12 data points be collected and publicized in a single location for the benefit of students and their families. OCUFA supports the principle behind that bill- that […]
Posts from October 2015
OCUFA has been working on a variety of initiatives at Queen’s Park. In September, the legislature resumed and MPP Peggy Sattler, the NDP critic for Training, Colleges and Universities, brought the issues of senior university administration salaries to the legislature, following recent high-profile cases of high and inappropriate compensation. Sattler raised the issue in Question […]
Librarians and archivists at McMaster University and Western University have voted overwhelmingly in favour of strike mandates in their ongoing negotiations with their respective employers. The mandates authorize their leadership to call a strike if an equitable deal cannot be reached at the bargaining table. At McMaster, a 92 per cent turnout yielded a 100 per cent vote in favour of a strike mandate . The employer is attempting to remove the […]
In last week’s Data Check, we demonstrated how Ontario lags the rest of Canada in per-student operating and research revenue. This week, we show how Ontario’s per-student university expenditures are also lower, particularly when it comes to faculty salaries. With occasional exceptions, it is the rule that university expenses are lower than revenues. So it […]
On October 15, 2015, the University of British Columbia released the results of the inquiry into allegations that Chair of the Board of Governors John Montalbano interfered with the academic freedom of Prof. Jennifer Berdahl. The report revealed that while no provisions of the UBC collective agreement had been violated, through the “the combined acts and omissions of Mr. Montalbano, the […]
The Ontario Confederation of University Faculty Association (OCUFA) is pleased to announce that registration is now open for our 2016 conference, “Confronting precarious academic work.” The growing number of university faculty hired on a contract basis – and the insecure working conditions they face – has far reaching implications for everyone who works and learns […]
OCUFA is busy planning a University Finance Workshop, to be held on November 13th in Toronto. The inaugural issue of the new Report on Ontario University Finances is set to be released later this month. With these events in mind, Data Check is taking a brief look at university revenues this week. Next week’s issue […]
On October 8, 2015, the Government of Ontario announced the launch of eCampus Ontario . This is an initiative of the Ontario Online Learning Consortium (OOLC), a web portal where students can find online courses offered by colleges and universities across the province. The OOLC is funded by the government and jointly administered by the Council of Ontario Universities (COU) and Colleges Ontario (CO). […]
After two days of conciliation, the Nipissing University Faculty Association (NUFA) regrets that talks have broken down. “We are very disappointed in the Employer’s lack of vision for the future of the university. Our faculty would rather be in the classroom teaching than walking a picket line,” says NUFA President Susan Srigley. However, NUFA decided […]
Misplaced records of crystals.
____________
Tb5Ru2 | PBE | optimized geometry

The structure in POSCAR format:
```
Tb5Ru2
1.0
7.9283 -3.1909 0.0000
7.9283 3.1909 0.0000
-0.8961 0.0000 7.2552
Tb Ru
10 4
direct
0.0812 0.9188 0.7500 Tb
0.1411 0.2940 0.3141 Tb
0.2909 0.5224 0.0842 Tb
0.2940 0.1411 0.8141 Tb
0.4776 0.7091 0.4158 Tb
0.5224 0.2909 0.5842 Tb
0.7060 0.8589 0.1859 Tb
0.7091 0.4776 0.9158 Tb
0.8589 0.7060 0.6859 Tb
0.9188 0.0812 0.2500 Tb
0.1024 0.6775 0.4243 Ru
0.3225 0.8976 0.0757 Ru
0.6775 0.1024 0.9243 Ru
0.8976 0.3225 0.5757 Ru
```

Results
Calculated volume (Å³/cell): 367.09
Space group: C2/c, No. 15
Formation energy from the elements (eV per atom): -0.339


Record 1
Computed, not measured: SiPdO3 after structural relaxation at the PBE-GGA level of DFT.

The value obtained for the energy with MP2020 corrections is -6.65 eV/atom. Its theoretical density is 6.505 g/cm3. The calculation puts the formation energy at -7.82 eV per formula unit. The total magnetization comes out at 1.99 μB/f.u.

It has space group Pm-3m (No. 221), with a = 3.598 Å, b = 3.598 Å, c = 3.598 Å, α = 90.00°, β = 90.00° and γ = 90.00°. The asymmetric unit holds Si at (0.000, 0.000, 0.000), Pd at (0.500, 0.500, 0.500) and O at (0.000, 0.000, 0.500).

Record 2
Computed, not measured: UNiSb2 after structural relaxation at the PBE-GGA level of DFT.

The value obtained for the energy with MP2020 corrections is -6.77 eV/atom. Its theoretical density is 10.427 g/cm3. The calculation puts the formation energy at -1.75 eV per formula unit.

It has space group P4/nmm (No. 129, origin choice 2), with a = 4.347 Å, b = 4.347 Å, c = 9.107 Å, α = 90.00°, β = 90.00° and γ = 90.00°. The asymmetric unit holds U at (0.250, 0.250, 0.231), Ni at (0.250, 0.750, 0.000), Sb at (0.250, 0.250, 0.841) and Sb at (0.250, 0.750, 0.500).

Record 3
Computed, not measured: LuCoB4 after structural relaxation at the PBE-GGA level of DFT.

Its theoretical density is 8.405 g/cm3. The calculation puts the formation energy at -3.81 eV per formula unit.

It has space group Pbam (No. 55), with a = 5.836 Å, b = 11.292 Å, c = 3.324 Å, α = 90.00°, β = 90.00° and γ = 90.00°. The asymmetric unit holds Lu at (0.128, 0.150, 0.000), Co at (0.136, 0.410, 0.000), B at (0.024, 0.692, 0.500), B at (0.112, 0.547, 0.500), B at (0.137, 0.968, 0.500) and B at (0.216, 0.815, 0.500).


# RbPaO3

Crystalline RbPaO3 at its relaxed geometry (r²SCAN, the Materials Project).

Final energy (eV per atom): -25.135

Unit cell a=4.3811 b=4.3811 c=4.3811 alpha=90.00 beta=90.00 gamma=90.00
Closest atoms and distances in Å follow each position.
Space group Pm-3m (No. 221)
Symmetry-distinct sites (fractional):
Rb 0.0000 0.0000 0.0000 x1  12 O 3.10
Pa 0.5000 0.5000 0.5000 x1  6 O 2.19
O 0.0000 0.5000 0.5000 x3  2 Pa 2.19

***

# Al

Crystalline Al at its relaxed geometry (r²SCAN, the Materials Project).

Distance to the lowest polymorph of the same formula (eV per atom): 0.000

Unit cell a=4.0389 b=4.0389 c=4.0389 alpha=90.00 beta=90.00 gamma=90.00
____________
New data shows that the decline in business and government support cannot be offset by R&D spending in the higher education sector – and the way Canada counts R&D activity in universities tells us a lot about the activities public funding is intended to support. While trends in expenditures on research and development (R&D) by […]
- - -
1.
The following is a DFT calculation (PBE) of a relaxed structure of Na6Al2Ga2Si3S3O24.

Lattice parameters (Å, degrees): 8.7227 8.7581 21.8076 89.51 89.23 60.86
With the nearest neighbours (Å) after each atom.
Space group P1 (No. 1)
One atom of each set of equivalent atoms:
Na 0.0000 0.0000 0.0000  4 O 2.26-2.51
Na 0.9998 0.2834 0.5120  6 O 2.31-2.57
Na 0.0081 0.6267 0.7500  6 O 2.33-2.61
Na 0.0102 0.6388 0.2550  6 O 2.37-2.57
Na 0.2909 0.3174 0.6709  6 O 2.40-2.63
Na 0.2977 0.6697 0.1708  6 O 2.36-2.56
Na 0.3272 0.3531 0.3426  5 O 2.38-2.47
Na 0.3310 0.6002 0.8340  6 O 2.37-2.59
Na 0.3318 0.9750 0.5883  6 O 2.43-2.64
Na 0.3367 0.9746 0.0838  3 O 2.29-2.50
Na 0.3723 0.2728 0.9962  5 O 2.41-2.56
Na 0.3733 0.6330 0.5062  5 O 2.41-2.50
Na 0.6577 0.9516 0.1612  6 O 2.39-2.56
Na 0.6612 0.3178 0.9185  6 O 2.42-2.66
Na 0.6632 0.3021 0.4263  3 O 2.30-2.40
Na 0.6649 0.6651 0.6647  5 O 2.31-2.54
Na 0.6913 0.6123 0.3495  5 O 2.36-2.58
Na 0.6908 0.9829 0.8392  5 O 2.33-2.56
Al 0.0137 0.6329 0.1003  4 O 1.79-1.90
Al 0.0255 0.6385 0.4100  4 O 1.77-1.88
Al 0.3040 0.9965 0.7294  4 O 1.79-1.91
Al 0.3176 0.9853 0.2378  3 O 1.79-1.85
Al 0.3530 0.9563 0.4449  3 O 1.78-1.82
Al 0.6381 0.3288 0.2720  3 O 1.80-1.93
Ga 0.0089 0.6130 0.6049  4 O 1.88-1.93
Ga 0.0152 0.6306 0.9041  4 O 1.87-2.02
Ga 0.3635 0.9604 0.9411  4 O 1.86-1.94
Ga 0.6396 0.3216 0.7642  4 O 1.82-2.00
Ga 0.6424 0.3027 0.0644  3 O 1.86-1.91
Ga 0.6539 0.3384 0.5688  4 O 1.87-1.99
Si 0.2956 0.6466 0.0038  4 O 1.64
Si 0.3029 0.3337 0.5018  4 O 1.63-1.66
Si 0.3228 0.6957 0.3362  4 O 1.63-1.70
Si 0.3262 0.2643 0.8357  4 O 1.62-1.69
Si 0.3561 0.6205 0.6707  4 O 1.63-1.65
Si 0.3593 0.3072 0.1720  4 O 1.64-1.65
Si 0.7167 0.6487 0.5012  4 O 1.62-1.66
Si 0.7199 0.9176 0.0058  4 O 1.63-1.68
Si 0.9492 0.3019 0.6696  4 O 1.63-1.66
S 0.0335 0.2616 0.3348  4 O 1.46-1.50
S 0.0415 0.9807 0.8375  4 O 1.47-1.51
S 0.6211 0.9795 0.3337  4 O 1.47-1.50
S 0.6266 0.6814 0.8360  4 O 1.47-1.50
S 0.6665 0.0164 0.6713  4 O 1.46-1.51
S 0.6703 0.5938 0.1715  4 O 1.47-1.51
S 0.9510 0.0294 0.1726  4 O 1.48-1.50
S 0.9906 0.3575 0.0060  4 O 1.47-1.49
S 0.9982 0.9303 0.5012  4 O 1.46-1.51
O 0.0154 0.4404 0.3365  1 S 1.50
O 0.0231 0.4424 0.0593  1 S 1.49
O 0.0237 0.8172 0.8386  1 S 1.51
O 0.0333 0.8203 0.5556  1 S 1.46
O 0.1089 0.1619 0.3906  1 S 1.46
O 0.1208 0.9985 0.8947  1 S 1.48
O 0.1333 0.0017 0.1781  1 S 1.49
O 0.1493 0.1826 0.0023  1 S 1.48
O 0.1499 0.1409 0.6745  1 Si 1.63, 1 Al 1.79
O 0.1516 0.6635 0.3436  1 Si 1.66
O 0.1529 0.1777 0.2811  1 S 1.49
O 0.1545 0.4628 0.8414  1 Si 1.66
O 0.1578 0.9520 0.7840  1 S 1.48
O 0.1594 0.9514 0.4933  1 S 1.51
O 0.1657 0.6336 0.6606  1 Si 1.63
O 0.1705 0.4876 0.1616  1 Si 1.65
O 0.1725 0.6808 0.0652  1 Si 1.64, 1 Al 1.79
O 0.1759 0.4127 0.5620  1 Si 1.63
O 0.2183 0.4670 0.4426  1 Si 1.66, 1 Al 1.77
O 0.2181 0.5957 0.9441  1 Si 1.64
O 0.2965 0.8322 0.9957  1 Si 1.64
O 0.3022 0.1512 0.4876  1 Si 1.63, 1 Al 1.80
O 0.3044 0.8070 0.2731  1 Si 1.64, 1 Al 1.79
O 0.3134 0.1612 0.7767  1 Si 1.62
- - -
Too often faculty who speak out on matters of public interest and participate in policy debates have found themselves silenced by lawsuits. New provincial legislation is being considered in Ontario to better protect public participation by allowing defendants to seek prompt dismissal of unfounded proceedings against them. On October 1, Sylvain Schetagne of CAUT and […]
Now that the academic year has begun in earnest, bargaining is again heating up on Ontario campuses. Faculty associations at Nipissing and Western, have conciliation dates scheduled in October, while Toronto was in mediation this past weekend. Several associations are heading to the table this month to begin their negotiations. Nipissing has two conciliation dates […]